# Assignment
Start at the top of the material further below and set down each line, ending with the one that has "0.071 0.425", please.

# Data
- - -
Entry 1:
This record from Materials Project describes crystalline TmTiGe at its relaxed geometry. The functional is PBE-GGA.

Cell: 4.026 4.026 7.579 Å, 90.00 90.00 90.00°
Element x y z (fractional)
1 Tm 0.250 0.250 0.158
2 Tm 0.750 0.750 0.842
3 Ti 0.250 0.750 0.500
4 Ti 0.750 0.250 0.500
5 Ge 0.250 0.250 0.749
6 Ge 0.750 0.750 0.251

Values from the calculation:
Formation energy: -67.36 kJ/mol of atoms
Total energy: -38.2 eV per cell
Theoretical density: 7.8 Mg/m³

Entry 2:
This record from Materials Project describes crystalline U2Ti3Ge4 at its relaxed geometry. The functional is PBE-GGA.

Cell: 7.117 7.127 7.019 Å, 90.00 110.03 90.00°
Element x y z (fractional)
1 U 0.179 0.162 0.057
2 U 0.179 0.338 0.557
3 U 0.821 0.662 0.443
4 U 0.821 0.838 0.943
5 Ti 0.251 0.666 0.250
6 Ti 0.251 0.834 0.750
7 Ti 0.500 0.000 0.500
8 Ti 0.500 0.500 0.000
9 Ti 0.749 0.166 0.250
10 Ti 0.749 0.334 0.750
11 Ge 0.091 0.545 0.863
12 Ge 0.091 0.955 0.363
13 Ge 0.497 0.137 0.861
14 Ge 0.497 0.363 0.361
15 Ge 0.503 0.637 0.639
16 Ge 0.503 0.863 0.139
17 Ge 0.909 0.045 0.637
18 Ge 0.909 0.455 0.137

Values from the calculation:
Formation energy: -48.50 kJ/mol of atoms
Total energy: -138.6 eV per cell
Theoretical density: 9.0 Mg/m³
Total magnetization: 4.99 μB/f.u.

Entry 3:
This record from Materials Project describes crystalline YTiGe at its relaxed geometry. The functional is PBE-GGA.

Cell: 4.066 4.066 7.691 Å, 90.00 90.00 90.00°
Element x y z (fractional)
1 Y 0.250 0.250 0.156
2 Y 0.750 0.750 0.844
3 Ti 0.250 0.750 0.500
4 Ti 0.750 0.250 0.500
5 Ge 0.250 0.250 0.742
6 Ge 0.750 0.750 0.258

Values from the calculation:
Formation energy: -68.49 kJ/mol of atoms
Total energy: -42.2 eV per cell
Theoretical density: 5.5 Mg/m³

* * * * *

1.
The following is a DFT calculation (PBE) of a geometry-optimized Cs3Au2Br11 structure.

**Crystal system**: monoclinic
**Symmetry**: No. 14
**MP2020-corrected energy**: -2.904 eV/atom
**Total magnetic moment**: 0.03 μB/f.u.

Cell: 16.919 7.889 19.224 Å, 86.15 90.00 90.00°
Positions (direct):
Cs1 0.024 0.765 0.901
Cs2 0.868 0.253 0.576
Cs3 0.776 0.742 0.326
Cs4 0.276 0.258 0.174
Cs5 0.724 0.742 0.826
Cs6 0.368 0.747 0.924
Cs7 0.524 0.235 0.599
Cs8 0.476 0.765 0.401
Cs9 0.976 0.235 0.099
Cs10 0.632 0.253 0.076
Cs11 0.132 0.747 0.424
Cs12 0.224 0.258 0.674
Br1 0.329 0.497 0.514
Br2 0.798 0.386 0.210
Br3 0.671 0.503 0.486
Br4 0.796 0.967 0.145
Br5 0.832 0.071 0.925
Br6 0.202 0.614 0.790
Br7 0.167 0.260 0.459
Br8 0.442 0.020 0.761
Br9 0.563 0.023 0.909
Br10 0.937 0.023 0.409
Br11 0.731 0.230 0.318
Br12 0.956 0.738 0.088
Br13 0.058 0.020 0.261
Br14 0.829 0.503 0.986
Br15 0.063 0.977 0.591
Br16 0.052 0.532 0.598
Br17 0.568 0.538 0.248
Br18 0.702 0.386 0.710
Br19 0.942 0.980 0.739
Br20 0.456 0.262 0.412
Br21 0.932 0.538 0.748
Br22 0.044 0.262 0.912
Br23 0.704 0.967 0.645
Br24 0.668 0.071 0.425
Br25 0.432 0.462 0.752
Br26 0.667 0.740 0.041
Br27 0.769 0.230 0.818
Br28 0.448 0.532 0.098
Br29 0.544 0.738 0.588
Br30 0.168 0.929 0.075
Br31 0.269 0.770 0.682
Br32 0.204 0.033 0.855
Br33 0.171 0.497 0.014
Br34 0.333 0.260 0.959
Br35 0.231 0.770 0.182
Br36 0.558 0.980 0.239
Br37 0.437 0.977 0.091
Br38 0.948 0.468 0.402
Br39 0.298 0.614 0.290
Br40 0.552 0.468 0.902
Br41 0.332 0.929 0.575
Br42 0.296 0.033 0.355
Br43 0.833 0.740 0.541
Br44 0.068 0.462 0.252
Au1 0.498 0.244 0.831
Au2 0.502 0.756 0.169
Au3 0.189 0.264 0.935
Au4 0.311 0.264 0.435
Au5 0.689 0.736 0.565
Au6 0.002 0.244 0.331
Au7 0.811 0.736 0.065
Au8 0.998 0.756 0.669

2.
The following is a DFT calculation (PBE) of a geometry-optimized Cs2GaAuBr6 structure.

**Crystal system**: cubic
**Symmetry**: No. 225
**MP2020-corrected energy**: -3.126 eV/atom
**Total magnetic moment**: 0.00 μB/f.u.

Cell: 7.751 7.751 7.751 Å, 60.00 60.00 60.00°
Positions (direct):
Br1 0.758 0.242 0.242
Br2 0.758 0.242 0.758
Br3 0.758 0.758 0.242
Br4 0.242 0.758 0.242
Br5 0.242 0.758 0.758
Br6 0.242 0.242 0.758
Cs1 0.750 0.750 0.750
Cs2 0.250 0.250 0.250
Ga1 0.000 0.000 0.000
Au1 0.500 0.500 0.500

3.
- - -

# Worked solution
Entry 1:
This record from Materials Project describes crystalline TmTiGe at its relaxed geometry. The functional is PBE-GGA.

Cell: 4.026 4.026 7.579 Å, 90.00 90.00 90.00°
Element x y z (fractional)
1 Tm 0.250 0.250 0.158
2 Tm 0.750 0.750 0.842
3 Ti 0.250 0.750 0.500
4 Ti 0.750 0.250 0.500
5 Ge 0.250 0.250 0.749
6 Ge 0.750 0.750 0.251

Values from the calculation:
Formation energy: -67.36 kJ/mol of atoms
Total energy: -38.2 eV per cell
Theoretical density: 7.8 Mg/m³

Entry 2:
This record from Materials Project describes crystalline U2Ti3Ge4 at its relaxed geometry. The functional is PBE-GGA.

Cell: 7.117 7.127 7.019 Å, 90.00 110.03 90.00°
Element x y z (fractional)
1 U 0.179 0.162 0.057
2 U 0.179 0.338 0.557
3 U 0.821 0.662 0.443
4 U 0.821 0.838 0.943
5 Ti 0.251 0.666 0.250
6 Ti 0.251 0.834 0.750
7 Ti 0.500 0.000 0.500
8 Ti 0.500 0.500 0.000
9 Ti 0.749 0.166 0.250
10 Ti 0.749 0.334 0.750
11 Ge 0.091 0.545 0.863
12 Ge 0.091 0.955 0.363
13 Ge 0.497 0.137 0.861
14 Ge 0.497 0.363 0.361
15 Ge 0.503 0.637 0.639
16 Ge 0.503 0.863 0.139
17 Ge 0.909 0.045 0.637
18 Ge 0.909 0.455 0.137

Values from the calculation:
Formation energy: -48.50 kJ/mol of atoms
Total energy: -138.6 eV per cell
Theoretical density: 9.0 Mg/m³
Total magnetization: 4.99 μB/f.u.

Entry 3:
This record from Materials Project describes crystalline YTiGe at its relaxed geometry. The functional is PBE-GGA.

Cell: 4.066 4.066 7.691 Å, 90.00 90.00 90.00°
Element x y z (fractional)
1 Y 0.250 0.250 0.156
2 Y 0.750 0.750 0.844
3 Ti 0.250 0.750 0.500
4 Ti 0.750 0.250 0.500
5 Ge 0.250 0.250 0.742
6 Ge 0.750 0.750 0.258

Values from the calculation:
Formation energy: -68.49 kJ/mol of atoms
Total energy: -42.2 eV per cell
Theoretical density: 5.5 Mg/m³

* * * * *

1.
The following is a DFT calculation (PBE) of a geometry-optimized Cs3Au2Br11 structure.

**Crystal system**: monoclinic
**Symmetry**: No. 14
**MP2020-corrected energy**: -2.904 eV/atom
**Total magnetic moment**: 0.03 μB/f.u.

Cell: 16.919 7.889 19.224 Å, 86.15 90.00 90.00°
Positions (direct):
Cs1 0.024 0.765 0.901
Cs2 0.868 0.253 0.576
Cs3 0.776 0.742 0.326
Cs4 0.276 0.258 0.174
Cs5 0.724 0.742 0.826
Cs6 0.368 0.747 0.924
Cs7 0.524 0.235 0.599
Cs8 0.476 0.765 0.401
Cs9 0.976 0.235 0.099
Cs10 0.632 0.253 0.076
Cs11 0.132 0.747 0.424
Cs12 0.224 0.258 0.674
Br1 0.329 0.497 0.514
Br2 0.798 0.386 0.210
Br3 0.671 0.503 0.486
Br4 0.796 0.967 0.145
Br5 0.832 0.071 0.925
Br6 0.202 0.614 0.790
Br7 0.167 0.260 0.459
Br8 0.442 0.020 0.761
Br9 0.563 0.023 0.909
Br10 0.937 0.023 0.409
Br11 0.731 0.230 0.318
Br12 0.956 0.738 0.088
Br13 0.058 0.020 0.261
Br14 0.829 0.503 0.986
Br15 0.063 0.977 0.591
Br16 0.052 0.532 0.598
Br17 0.568 0.538 0.248
Br18 0.702 0.386 0.710
Br19 0.942 0.980 0.739
Br20 0.456 0.262 0.412
Br21 0.932 0.538 0.748
Br22 0.044 0.262 0.912
Br23 0.704 0.967 0.645
Br24 0.668 0.071 0.425